OS. initial syllabic [m], [n], [ŋ] became [am], [an], [aŋ]; [{ṃṇŋ̣}-] > [a{mnŋ}-]
In Sindarin and Noldorin, syllabic nasals at the beginning of words developed the vowel a, so that [ṃ-/ṇ-/ŋ̣-] became [am-/an-/aŋ-]. A clear description of this sound change occurs in the notes on ambar vs. umbar from the 1960s:
... in some cases, usually words of strong or emotional meaning or important names, the nasal became syllabic, and then in Quenya > um [from ṃ] (vocalic ṇ usually > an; vocalic ŋ̣ > iŋ except before gw where it > uŋ) ... In Sindarin a similar development (in similar cases) took place, but syllabic m, n, ñ all had the same vowel am, an, ang (PE17/124).
There are a number of examples of this phonetic development in both Sindarin and Noldorin:
Some of the above examples explicitly attribute the sound change to Old Noldorin or “Primitive Sindarin” [Old Sindarin]. David Salo also attributes this change to Old Sindarin in Gateway to Sindarin (GS/§4.40). Similar sound changes occurred in the history of Welsh, where short syllablic [ṃ] and [ṇ] from Primitive Indo-European evolved to [am], [an] by the Britannic period (WGHC/§62i). The Welsh changes were more pervasive, however, since syllabic nasals could appear medially in Primitive Indo-European words, not just initially.
Conceptual Development: In Gnomish and Early Noldorin, the development of syllabic nasals was different, in part because like Primitive Indo-European, Tolkien’s conception of Primitive Elvish in the 1910s and 1920s allowed them to appear both initially and medially in words, functioning as ordinary vowels. As described by Roman Rausch in Historical Phonology of Goldogrin (§3), short [ṇ] became [in] and long [ṇ̄] became [an]. For example:
This can also be seen in the vowel gradations in some Gnomish present vs. past tenses, because in the primitive past tense the syllabic nasal was lengthened:
As pointed out by Roman Rausch, apparently short [ŋ̣kʷ] > [uŋkʷ]:
It is unclear whether [ŋ̣] > [uŋ] generally or only before labialized velars, but if I had to guess it would be specifically before labialized velars, with [ŋ̣] > [iŋ] more generally (as was the case with Quenya, see above). It is also possible that (like Quenya) [ṃ] > [um], but there are no examples. Apparently, however, this did not happen if the syllabic nasal was long:
Based on these examples, it seems that syllabic nasals in Gnomish behaved very similarly to the corresponding Early Qenya developments, except that in Gnomish short [ṇ] > [in] whereas in Early Quenya short [ṇ] > [an]. There aren’t enough examples of syllabic nasals to determine the Early Noldorin development of the 1920s, but presumably it was similar to Gnomish.
References ✧ PE17/124; PE23/135
Phonetic Rule Elements
> |
✧ PE17/124 (*ṃ- > am-) |
> |
✧ PE17/124 (ṇ > an-) |
## Materials data from another source follow
No. 1
A plane-wave DFT calculation with PBE was carried out for a relaxed structure of Hf8In2Sb.

Results
- Magnetic moment: 0.00 μB per cell
- N(E_F): 10.2 states/eV/f.u.
- Formation energy (no corrections): 0.43 eV per formula unit

a b c (Å): 5.3543 7.7787 7.7787
angles (deg): 120.13 102.46 102.46
Sites, in units of the cell vectors:
Hf (0.8410, 0.9025, 0.6814)
Hf (0.8410, 0.6814, 0.9025)
Hf (0.2967, 0.5900, 0.5900)
Hf (0.5000, 0.7810, 0.2190)
Hf (0.5000, 0.2190, 0.7810)
Hf (0.7033, 0.4100, 0.4100)
Hf (0.1590, 0.3186, 0.0975)
Hf (0.1590, 0.0975, 0.3186)
In (0.0000, 0.3049, 0.6951)
In (0.0000, 0.6951, 0.3049)
Sb (0.5000, 0.0000, 0.0000)

No. 2
A plane-wave DFT calculation with PBE was carried out for a relaxed structure of Hf12In3Sb.

Results
- Magnetic moment: 0.00 μB per cell
- N(E_F): 16.3 states/eV/f.u.
- Formation energy (no corrections): -2.13 eV per formula unit

a b c (Å): 5.5868 5.5834 11.1864
angles (deg): 90.00 90.00 90.00
Sites, in units of the cell vectors:
Hf (0.5000, 0.0000, 0.3738)
Hf (0.5000, 0.0000, 0.8758)
Hf (0.7499, 0.5000, 0.0000)
Hf (0.7484, 0.5000, 0.5000)
Hf (0.0000, 0.7497, 0.2507)
Hf (0.0000, 0.7497, 0.7493)
Hf (0.5000, 0.0000, 0.1242)
Hf (0.5000, 0.0000, 0.6262)
Hf (0.2501, 0.5000, 0.0000)
Hf (0.2516, 0.5000, 0.5000)
Hf (0.0000, 0.2503, 0.2507)
Hf (0.0000, 0.2503, 0.7493)
In (0.5000, 0.5000, 0.2507)
In (0.5000, 0.5000, 0.7493)
In (0.0000, 0.0000, 0.0000)
Sb (0.0000, 0.0000, 0.5000)

No. 3
A plane-wave DFT calculation with PBE was carried out for a relaxed structure of HfInSb2.

Results
- Magnetic moment: 0.00 μB per cell
- N(E_F): 3.1 states/eV/f.u.
- Formation energy (no corrections): 0.43 eV per formula unit

a b c (Å): 6.6923 6.6923 8.0900
angles (deg): 65.57 65.57 90.00
Sites, in units of the cell vectors:
Sb (0.6436, 0.1250, 0.2500)
Sb (0.1064, 0.6250, 0.2500)
Sb (0.3750, 0.3564, 0.7500)
Sb (0.8750, 0.8936, 0.7500)
Hf (0.0000, 0.0000, 0.0000)
Hf (0.7500, 0.2500, 0.5000)
In (0.5000, 0.5000, 0.0000)
In (0.2500, 0.7500, 0.5000)

No. 4
A plane-wave DFT calculation with PBE was carried out for a relaxed structure of HfInSb2.

Results
- Magnetic moment: 0.00 μB per cell
- N(E_F): 2.4 states/eV/f.u.
- Formation energy (no corrections): -0.70 eV per formula unit

a b c (Å): 4.0560 4.0560 8.1518
angles (deg): 75.59 75.59 60.00
Sites, in units of the cell vectors:
Sb (0.2585, 0.2585, 0.2245)
Sb (0.7415, 0.7415, 0.7755)
Hf (0.0000, 0.0000, 0.0000)
In (0.5000, 0.5000, 0.5000)

Q: Which value of formation energy (no corrections) does entry 2 give?
A: -2.13 eV per formula unit

Q: Which of these has the lowest N(E_F)?
A: number 4
## End of the materials data
> |
✧ PE17/124 (ŋ̣̃ > ang-) |
Phonetic Rule Examples
ŋ̣golodō > aŋgolodo | ŋ̣- > aŋ- | ✶Ñgolodō > S. Angoloð | ✧ PM/360 |
ṃbar > ambar | ṃ- > am- | ✶ṃbar > OS. ambar | ✧ PE17/104 |
ṃbart > ambart | ṃ- > am- | ✶ṃbart(ă) > ammarth > S. amarth | ✧ PE17/124 |
ṃbartā > ambartā | ṃ- > am- | ✶mbartā > ṃbartā > ambarta > S. amarth | ✧ PE17/104 |
ṃbartā > ambartā | ṃ- > am- | ✶mbartā > ṃbartā > S. amartha- | ✧ PE17/104 |
ṃbono > ambono | ṃ- > am- | ✶ṃbono > S. amon | ✧ PE17/93 |
ṃpala > ampala | ṃ- > am- | √KWAL > ᴸON. amphala | ✧ PE18/92 |
ṇdūnē > andūnē | ṇ- > an- | √NDŪ > S. Annûn | ✧ PE17/64 |
ON. initial syllabic [m], [n], [ŋ] became [am], [an], [aŋ]; [{ṃṇŋ̣}-] > [a{mnŋ}-]
Phonetic Rule Elements
> |
✧ PE19/20 (mb- > amb-); PE19/20 (mb- > amb-) |
> |
✧ PE19/20 (nd- > and-) |
> |
✧ PE19/20 ([ŋ]g- > ang-); PE19/20 (ŋg- > ang-) |
Phonetic Rule Examples
ŋ̣go > aŋgo | ŋ̣- > aŋ- | ᴹ√ÑGYŌ/ÑGYON > ON. ango | ✧ Ety/ÑGYŌ |
ŋ̣gole > aŋgole | ŋ̣- > aŋ- | ᴹ√ÑGOL > N. †angol | ✧ Ety/ÑGOL |
ŋ̣golonde > aŋgolonde | ŋ̣- > aŋ- | ᴹ√ÑGÓLOD > N. Angolonn | ✧ Ety/ÑGOLOD |
ṃbatʰ > ambatʰ | ṃ- > am- | ᴹ√MBAT(H) > ambath > N. amath | ✧ EtyAC/MBAT(H) |
ṇdūnē > andūnē | ṇ- > an- | ᴹ✶ṇdūnē > N. annûn | ✧ Ety/NDŪ |
G. syllabic nasals became [in] or [an]; [ṇ|ṇ̄] > [in|an]
Phonetic Rule Elements
> |
> |
Phonetic Rule Examples
fṇta- > finta- | ṇ > in | ᴱ√fṇt > G. fintha- | ✧ GL/35 |
ṇdra > indra | ṇ > in | ᴱ✶ṇdr > G. in(d)ra | ✧ GL/51 |
jṇta- > jinta- | ṇ > in | ᴱ√yṇt > G. intha- | ✧ GL/37 |
ṇ̄dai > andai | ṇ̄ > an | ᴱ✶ṇ̄dai > G. annai | ✧ GL/19 |
ṇ̄t > ant | ṇ̄ > an | ᴱ✶ṃ̄t- > G. ant | ✧ GL/19 |
fṇ̄t > fant | ṇ̄ > an | ‽ᴱ√fṇ̄t > G. fant | ✧ GL/34 |
jṇ̄ta > janta | ṇ̄ > an | ᴱ√yṇt > G. gant | ✧ GL/37 |
jṇ̄tā > jantā | ṇ̄ > an | ᴱ√yṇt > G. gantha | ✧ GL/37 |
mbṇ̄ð > mbanð | ṇ̄ > an | ᴱ√mᵇṇřṇ > G. band | ✧ PME/58 |
xṇ̄ða- > xanða- | ṇ̄ > an | ᴱ√χ̑ṇđ > G. †hanna- | ✧ GL/48 |